“Serious about this in particular,” he told her. “Any help would be gratefully accepted—please, I only mean to—”

She held up her hand. “If I could pinpoint it for you, I would. The only things left are to correct whatever small event it was that caused the timeline to adjust—the astrolabe being in Ironwood hands, likely—and to search for evidence of where the timeline might have thrown Etta. I can be of help with the latter, but can I trust you with the former? I imagine you know where to start looking.”

“Will it be enough to take the astrolabe out of Ironwood hands?” Nicholas asked.

“Only if you get to it before they use it,” she said. “Tell me once and for all that you can do this—otherwise you’re wasting my time.”

“I’ll find it,” he said quickly. Somehow…Sophia was bound to slip up, leave a small trail he could sniff out and track. “Thank you.”

Rose swung up onto her horse’s back. “Then this is where we’ll part.”

“How shall I get a message to you?” he asked. “After I retrieve the astrolabe, how will I know where to start looking for Etta herself? She won’t just be restored to this time, will she?”

“Of course not,” Rose said, unknotting the lead on the other horse and tossing him the reins. After casting an exasperated look at his lack of bags and supplies, she untied one of her saddlebags and gave that to him as well. Nicholas felt his pride take a small knock, but stood up straighter.

“I need to return to my present,” Rose said, “or Etta’s present, at least, in order to see which events have shifted, and I’ll try to pinpoint the last common event between the old timeline and the new from there. Can you meet me in Nassau in 1776 in…shall we say a week’s time?”

It would be easy enough to follow the passages he and Etta had gone through back to 1776, but accounting for the time they would both need to travel to the island from New York…He swallowed down his frustration. “Better make it nearer to a month.”

/*
Compound: Mg6CuSiO8
Source: Alexandria
Functional: PBE
Structure: relaxed

## Properties
The uncorrected energy is -5.87 eV/atom. As for the space-group type: P4/mmm (123). The distance to the lowest polymorph of the same formula comes out at 0.000 eV/atom.

a b c (Å): 4.2866 4.2866 8.5997
angles (deg): 90.00 90.00 90.00
Closest atoms and distances in Å follow each position.
Sites, in units of the cell vectors:
Mg  0.0000  0.0000  0.0000  6 O 2.14-2.16
Mg  0.0000  0.0000  0.5000  6 O 2.14
Mg  0.0000  0.5000  0.2412  6 O 2.07-2.23
Mg  0.0000  0.5000  0.7588  6 O 2.07-2.23
Mg  0.5000  0.0000  0.2412  6 O 2.07-2.23
Mg  0.5000  0.0000  0.7588  6 O 2.07-2.23
Cu  0.5000  0.5000  0.0000  4 O 2.14
Si  0.5000  0.5000  0.5000  2 O 1.82
O  0.0000  0.0000  0.2517  6 Mg 2.14-2.16
O  0.0000  0.0000  0.7483  6 Mg 2.14-2.16
O  0.0000  0.5000  0.0000  4 Mg 2.07-2.14, 2 Cu 2.14
O  0.0000  0.5000  0.5000  4 Mg 2.14-2.23, 2 Si 2.14
O  0.5000  0.0000  0.0000  4 Mg 2.07-2.14, 2 Cu 2.14
O  0.5000  0.0000  0.5000  4 Mg 2.14-2.23, 2 Si 2.14
O  0.5000  0.5000  0.2881  1 Si 1.82
O  0.5000  0.5000  0.7119  1 Si 1.82



Compound: Mg6CuSiO8
Source: Alexandria
Functional: PBE
Structure: relaxed

## Properties
The uncorrected energy is -5.84 eV/atom. As for the space-group type: P4/mmm (123). The distance to the lowest polymorph of the same formula comes out at 0.036 eV/atom.

a b c (Å): 4.2485 4.2485 8.7233
angles (deg): 90.00 90.00 90.00
Closest atoms and distances in Å follow each position.
Sites, in units of the cell vectors:
Mg  0.0000  0.0000  0.0000  6 O 2.05-2.12
Mg  0.0000  0.5000  0.2496  6 O 2.13-2.18
Mg  0.0000  0.5000  0.7504  6 O 2.13-2.18
Mg  0.5000  0.0000  0.2496  6 O 2.13-2.18
Mg  0.5000  0.0000  0.7504  6 O 2.13-2.18
Mg  0.5000  0.5000  0.0000  6 O 2.12-2.25
Cu  0.0000  0.0000  0.5000  6 O 2.12-2.32
Si  0.5000  0.5000  0.5000  6 O 2.11-2.12
O  0.0000  0.0000  0.2344  5 Mg 2.05-2.13
O  0.0000  0.0000  0.7656  5 Mg 2.05-2.13
O  0.0000  0.5000  0.0000  6 Mg 2.12-2.18
O  0.0000  0.5000  0.5000  2 Cu 2.12, 2 Si 2.12, 2 Mg 2.18
O  0.5000  0.0000  0.0000  6 Mg 2.12-2.18
O  0.5000  0.0000  0.5000  2 Cu 2.12, 2 Si 2.12, 2 Mg 2.18
O  0.5000  0.5000  0.2578  1 Si 2.11, 5 Mg 2.13-2.25
O  0.5000  0.5000  0.7422  1 Si 2.11, 5 Mg 2.13-2.25



Compound: MgCuSi2O6
Source: Alexandria
Functional: PBE
Structure: relaxed

## Properties
The uncorrected energy is -6.94 eV/atom. As for the space-group type: Pbca (61). The distance to the lowest polymorph of the same formula comes out at 0.000 eV/atom.

a b c (Å): 5.3264 18.4884 9.0138
angles (deg): 90.00 90.00 90.00
Closest atoms and distances in Å follow each position.
Sites, in units of the cell vectors:
Mg  0.0952  0.1257  0.1522  6 O 2.04-2.24
Mg  0.0952  0.3743  0.6522  6 O 2.04-2.24
Mg  0.4048  0.6257  0.1522  6 O 2.04-2.24
Mg  0.4048  0.8743  0.6522  6 O 2.04-2.24
Mg  0.5952  0.1257  0.3478  6 O 2.04-2.24
Mg  0.5952  0.3743  0.8478  6 O 2.04-2.24
Mg  0.9048  0.6257  0.3478  6 O 2.04-2.24
*/
## Here the piece continues

If he did not find her sooner himself.

I will tell Etta the truth, he thought, about what her mother has done. And, likely, destroy her world all over again in the process. But she deserved to know. She needed to be at the helm of her life—not a passenger, constantly at her mother’s mercy.

Rose nodded in agreement, turning her horse back toward the city. “There’s one more thing you should know. I have a feeling we won’t be the only ones looking for her.”

“I know this,” Nicholas said. “If Sophia doesn’t bring the astrolabe directly to him, Ironwood will assume Etta has absconded with it.”

“That’s true,” Rose said, “but I was talking about the Thorns. The leader, a man named Henry Hemlock, might attempt to look for her again.”

Christ—this was getting muddier by the moment. “I understand.”

Rose’s face twisted into a sad smile. “I doubt you do. He’s a powerful figure, far wealthier and more cunning than you’re likely to give him credit for. He’s also her father.”

-- These calculated crystals were left in the article by mistake --
+++
Entry 1:
{"formula": "Y3Pu2S4", "functional": "PBE-GGA", "state": "optimized geometry", "volume_a3_per_atom": 23.26, "magnetic_moment_mub_per_atom": 1.353, "e_form_raw_ev_per_fu": -14.67, "dos_ef_per_ev_atom": 1.772, "final_energy_ha_per_atom": -0.3235, "cell": [[-3.4488, -0.3711, -1.6849], [-0.2213, -6.2468, -2.5840], [-4.5081, -4.7420, 5.8593]], "species": ["Y", "Pu", "Y", "Y", "S", "S", "S", "Pu", "S"], "fractional_positions": [[0.2033, 0.3922, 0.2012], [0.4045, 0.7847, 0.4063], [0.0000, 0.0000, 0.0000], [0.7967, 0.6078, 0.7988], [0.1959, 0.9099, 0.6983], [0.8041, 0.0901, 0.3017], [0.6037, 0.6960, 0.0966], [0.5955, 0.2153, 0.5937], [0.3963, 0.3040, 0.9034]]}

Entry 2:
{"formula": "Y4PuS7", "functional": "PBE-GGA", "state": "optimized geometry", "volume_a3_per_atom": 23.30, "magnetic_moment_mub_per_atom": 0.471, "e_form_raw_ev_per_fu": -23.87, "dos_ef_per_ev_atom": 1.037, "final_energy_ha_per_atom": -0.2847, "cell": [[3.8392, 0.0000, 0.0000], [-1.9196, 6.2343, -1.6403], [0.0000, 0.0283, 11.6770]], "species": ["Y", "Y", "S", "Pu", "Y", "S", "Y", "S", "S", "S", "S", "S"], "fractional_positions": [[0.0005, 0.0010, 0.0007], [0.6979, 0.3959, 0.8107], [0.9585, 0.9170, 0.2151], [0.8851, 0.7702, 0.5777], [0.3027, 0.6055, 0.1901], [0.7375, 0.4750, 0.3480], [0.1150, 0.2299, 0.4221], [0.2584, 0.5168, 0.6500], [0.0431, 0.0862, 0.7876], [0.6596, 0.3192, 0.0509], [0.3420, 0.6840, 0.9504], [0.4996, 0.9993, 0.4966]]}

Entry 3:
{"formula": "YPuS2", "functional": "PBE-GGA", "state": "optimized geometry", "polymorph_energy_mev_per_atom": 0, "volume_a3_per_atom": 21.58, "magnetic_moment_mub_per_atom": 1.434, "e_form_raw_ev_per_fu": -7.65, "dos_ef_per_ev_atom": 1.928, "final_energy_ha_per_atom": -0.3371, "cell": [[3.9242, 0.0000, 0.0000], [1.9621, 3.3985, 0.0000], [1.9621, 1.1328, 6.4716]], "species": ["S", "S", "Y", "Pu"], "fractional_positions": [[0.7509, 0.7509, 0.7472], [0.2491, 0.2491, 0.2528], [0.5000, 0.5000, 0.5000], [0.0000, 0.0000, 0.0000]]}

=====

The following is a DFT calculation (PBE with a Hubbard U) of SrNiOF2 after structural relaxation.

Cell and atoms, written as POSCAR:
```
SrNiOF2
1.0
-3.9588 0.5613 -0.0713
-0.2641 -2.2788 -3.2755
-0.5069 -3.2801 2.3229
Sr Ni F O
1 1 2 1
direct
0.5000 0.5000 0.5000
0.0000 0.0000 0.0000
0.0000 0.5000 0.0000
0.5000 0.0000 0.0000
0.0000 0.0000 0.5000
```

Energy above the most stable polymorph in this dataset in eV/f.u.: 0.000
Symmetry: P4/mmm, No. 123
Uncorrected energy in eV/cell: -25.40
Fermi-level density of states in states/eV per atom: 0.000
Crystal system: tetragonal

=====

Model 1:
+++

Every thought flew out of his head, scattered to the winds.

“Good luck, Nicholas Carter. Don’t you dare disappoint me,” she called back over her shoulder. “I’ll see you in one month’s time. Nassau—the Three Crowns tavern.”

Nicholas nodded, clenching his reins in his hands as he watched her kick her bedraggled horse into a canter, and then a gallop. He waited until she was well out of sight before the dammed-up air rushed from his lungs and he dropped to his hands and knees. Tears and sweat dripped from his face, and he shook, coughing, laughing, as he pressed his forehead to the earth, trying to master the wild currents inside of him.

“You’re alive,” he rasped out. “You are alive.”

Both of them? Both Julian and Etta? He could scarcely fathom the hope that billowed up inside him, bowing his back like a sail. If Julian were only lost, too, then he would only need to be found.

• Calculated crystals, as found in the file:
-- begin --
An optimized crystal structure of SrPdN3. Source: the Alexandria database, functional PBE-GGA.

a b c (Å): 4.403 4.403 4.403
angles (deg): 90.00 90.00 90.00
Fractional positions:
N1 0.000 0.000 0.500
N2 0.500 0.000 0.000
N3 0.000 0.500 0.000
Pd1 0.500 0.500 0.500
Sr1 0.000 0.000 0.000

## Properties
D(E_F): 9.6 states/eV/cell
calculated total energy: -0.134 hartree per atom
raw formation energy: 2.7309 eV per atom

* * * * *

Record 1
The following is a GGA-PBE calculation of Rb4AgBr5 after structural relaxation, from the Alexandria database.

a = 6.9894 Å, b = 8.2909 Å, c = 8.2909 Å
α = 79.77°, β = 65.07°, γ = 65.07°
Last column: nearest neighbours and their distance in Å.
Element x y z (fractional)
Br 0.2669 0.8188 0.6436  1 Ag 3.04
Br 0.0857 0.6436 0.1812  1 Ag 3.04
Br 0.7293 0.1812 0.3564  1 Ag 3.04
Br 0.9104 0.3564 0.8188  1 Ag 3.04
Br 0.4558 0.0000 0.0000  1 Ag 2.76
Ag 0.0612 0.0000 0.0000  5 Br 2.76-3.04
Rb 0.4060 0.3923 0.7962  6 Br 3.34-3.67
Rb 0.7983 0.7962 0.6077  6 Br 3.34-3.67
Rb 0.2022 0.2038 0.3923  6 Br 3.34-3.67
Rb 0.5945 0.6077 0.2038  6 Br 3.34-3.67

Summary:
Symmetry: No. 79
DOS at the Fermi energy in states/eV/f.u.: 0.0
Raw total energy in eV per atom: -2.937



Record 2
The following is a GGA-PBE calculation of Ho6C2S2N after structural relaxation, from the Alexandria database.

a = 6.2797 Å, b = 6.2797 Å, c = 6.5851 Å
α = 99.27°, β = 99.27°, γ = 119.75°
Last column: nearest neighbours and their distance in Å.
Element x y z (fractional)
C 0.6690 0.3310 0.5000  6 Ho 2.46-2.50
C 0.3310 0.6690 0.5000  6 Ho 2.46-2.50
N 0.0000 0.0000 0.5000  6 Ho 2.46-2.47
S 0.8329 0.1671 0.0000  6 Ho 2.75-2.76
S 0.1671 0.8329 0.0000  6 Ho 2.75-2.76
Ho 0.9299 0.5969 0.2869  2 C 2.46-2.49, 1 N 2.47, 1 S 2.75
Ho 0.7400 0.7400 0.7106  1 N 2.46, 2 C 2.50, 2 S 2.76
Ho 0.0701 0.4031 0.7131  2 C 2.46-2.49, 1 N 2.47, 1 S 2.75
Ho 0.2600 0.2600 0.2894  1 N 2.46, 2 C 2.50, 2 S 2.76
Ho 0.4031 0.0701 0.7131  2 C 2.46-2.49, 1 N 2.47, 1 S 2.75
Ho 0.5969 0.9299 0.2869  2 C 2.46-2.49, 1 N 2.47, 1 S 2.75

Summary:
Symmetry: No. 12
DOS at the Fermi energy in states/eV/f.u.: 5.0
Raw total energy in eV per atom: -6.943



Record 3
The following is a GGA-PBE calculation of BaTeNCl2 after structural relaxation, from the Alexandria database.

a = 5.1767 Å, b = 7.0774 Å, c = 5.1767 Å
α = 90.00°, β = 90.00°, γ = 90.00°
Last column: nearest neighbours and their distance in Å.
Element x y z (fractional)
Ba 0.0000 0.5000 0.0000  2 Te 3.54, 4 N 3.66
Te 0.0000 0.0000 0.0000  4 Cl 2.59
Cl 0.5000 0.0000 0.0000  2 Te 2.59
Cl 0.0000 0.0000 0.5000  2 Te 2.59
N 0.5000 0.5000 0.5000  4 Ba 3.66

Summary:
Symmetry: No. 123
Distance to the lowest polymorph of the same formula in eV per atom: 0.073
DOS at the Fermi energy in states/eV/f.u.: 4.3
Raw total energy in eV per atom: -3.199



Record 4
The following is a GGA-PBE calculation of YHo2Pu3Se6 after structural relaxation, from the Alexandria database.

a = 4.0934 Å, b = 8.2150 Å, c = 9.1797 Å
α = 102.75°, β = 102.88°, γ = 90.00°
-- stop --
• End of the calculated crystals:

The horse Rose had left behind just watched him, a picture of serene disinterest. He moved toward it, holding out a hand, until the animal felt comfortable enough to press its nose into his palm. Nicholas ran a hand down its long nose, stroking its dark hair, his thoughts shaken loose again from the ice that had encased them.

Etta was alive, but she wasn’t safe. She didn’t have anyone or anything now—she was entirely alone.

Not for long.

A surge of purpose worked through him as he hoisted himself up into the horse’s saddle. He would bring the exhausted creature to the oasis, give it a moment to rest and water itself, before setting off to locate Hasan. The man might know something of the other passages in this era, and from there…well, he would meet those challenges when they arose.

Nicholas had only just emerged from the hills when he spotted another rider weaving through the ruins of the fallen city. The red robe was unmistakable, even at a distance, and yet another burst of pressure left his chest, which no longer felt as tight as a drum.

“Hasan!” he called. The wind aided him, carrying his voice over to where the other man was perched on an unfamiliar horse.

“Baha’ar!” Nicholas was mildly touched that the man sounded equally thrilled to see him. It wasn’t until they were within a stone’s throw of each other that Hasan seemed to realize Nicholas was alone.

“But where…?” he began, eyes wide with horror.